Yeah I just uninstalled those apps and reinstalled them from the store.
Problem solved. Thanks.
Yeah I just uninstalled those apps and reinstalled them from the store.
I skipped all of them so far.
Time for Surface phone.
x86 (ultra low power) Lumia, 5" screen, small keyboard attachment.
A phone with desktop mode. Could be pretty great actually. I'm unsure whether or not the ultra low end intel stuff is viable yet though.
Microsoft finally fixed the Surface Pro 2 battery issues!
Are you installing by USB? I had the same with my laptop but not PC or server, for some reason using a USB stick with the NTFS file system doesn't install it correctly, using FAT32 worked.So I am trying to install the preview on my Surface Pro 1. It downloads, reboots, goes through the whole install, reboots (seemingly done) but then Windows 8 comes back up with no errors or anything.
What gives?
Are you installing by USB? I had the same with my laptop but not PC or server, for some reason using a USB stick with the NTFS file system doesn't install it correctly, using FAT32 worked.
If you used the Microsoft USB creation tool, copy all of the files to a folder somewhere on your PC, reformat the drive to FAT32, then just add them back, causes no issues with boot.
Paul Thurrott is often difficult to listen to but his comments on this weeks Windows Weekly were pretty stupid. He brushed off everyone's complaints with the current preview build with basically "I've been using Windows for a long time so I can tell you for sure it's better and they don't know what they're talking about" and when people in the stream commented on how the touch experience on their tablets was really bad with the current build his response was "well I have to question why people are using Windows on a tablet in the first place". Uh, thanks Paul, very helpful.
So I am trying to install the preview on my Surface Pro 1. It downloads, reboots, goes through the whole install, reboots (seemingly done) but then Windows 8 comes back up with no errors or anything.
What gives?
MS already has full windows running on 7 inch tablets with only 1GB of RAM. 2GB less than my phone.
Surely a 6 inch phablet with even a "mobile tailored" version of W10 that can connect to a monitor and run "universal office" and such is next on the table.
Techradar said:If you appreciate the ability to run full Win32 apps on a tablet form factor smaller than 8 inches, you should pick up any one of the existing 7-inch tablet models before Windows 10 officially launches. According to Microsoft Operating Systems Group corporate vice president Joe Belfiore, new Windows 10 hardware with displays smaller than 8 inches will not ship with the classic desktop environment and cannot run legacy apps.
Haven't listened to the new one yet, but yeah sometimes he can be hard to listen to, sometimes he is on point though.
Does anybody else have issues playing youtube videos with chrome on windows 10?
That's not what I'm talking about though.
Microsoft finally fixed the Surface Pro 2 battery issues!
Build 9933 showing up for me now. Let's see if I can download it this time.
YouTube is always fucked up on PC chrome. I tried watching a Doctor Who mini episode and it wouldn't advance. It played fine on my phone though.
Have they said if we'll be able to disable the new start menu and revert back to 8.1's Start Screen?
No and i doubt it. The new start screen is far from perfect, but we are still 6 months or so from release so there will be a lot of tweaking and adjusting coming. I'm looking forward to the transparent start screen.
No and i doubt it. The new start screen is far from perfect, but we are still 6 months or so from release so there will be a lot of tweaking and adjusting coming. I'm looking forward to the transparent start screen.
Have they said if we'll be able to disable the new start menu and revert back to 8.1's Start Screen?
So is it known that the charms bar is gone forever never to turn not even in consumer builds?
Is there a list of shit that's bad about the Start screen? Conceptually, it seemed like a perfect mix of what everyone wanted, but all I hear are complaints now.
Guys, the start screen you're looking at now in the January Tech Preview is extremely early. It's not at all representative of functionality that will be there by the time Windows 10 ships.
That's good to know but it doesn't hurt to give our feedback now while it's still early, in case these issues weren't already clear to the team.
Is there a list of shit that's bad about the Start screen? Conceptually, it seemed like a perfect mix of what everyone wanted, but all I hear are complaints now.
So Chrome has had abysmal performance for me for a while, but now it seems even worse on Windows 10. Is anyone else seeing this?
Inserted here: calculated crystals.
-- begin --
(1)
# GeAsPt3 PBEsol relaxed
# E: -5.66 eV per atom
# calculated volume: 99.0 Å³/cell
# E_form: 2.64 eV per formula unit
data_GeAsPt3
_chemical_formula_sum 'Ge1 As1 Pt3'
_space_group_name_H-M_alt 'P m -3 m'
_space_group_IT_number 221
_space_group_name_Hall '-P 4 2 3'
_cell_length_a 4.626
_cell_length_b 4.626
_cell_length_c 4.626
_cell_angle_alpha 90.00
_cell_angle_beta 90.00
_cell_angle_gamma 90.00
loop_
_atom_site_label
_atom_site_fract_x
_atom_site_fract_y
_atom_site_fract_z
Ge1 0.000 0.000 0.000
As1 0.500 0.500 0.500
Pt1 0.000 0.500 0.500


(2)
# MgAlPd3 PBEsol relaxed
# E: -4.30 eV per atom
# calculated volume: 90.6 Å³/cell
# E_form: 2.19 eV per formula unit
data_MgAlPd3
_chemical_formula_sum 'Mg1 Al1 Pd3'
_space_group_name_H-M_alt 'P m -3 m'
_space_group_IT_number 221
_space_group_name_Hall '-P 4 2 3'
_cell_length_a 4.491
_cell_length_b 4.491
_cell_length_c 4.491
_cell_angle_alpha 90.00
_cell_angle_beta 90.00
_cell_angle_gamma 90.00
loop_
_atom_site_label
_atom_site_fract_x
_atom_site_fract_y
_atom_site_fract_z
Mg1 0.000 0.000 0.000
Al1 0.500 0.500 0.500
Pd1 0.000 0.000 0.500


(3)
# LaInRh2 PBEsol relaxed
# E: -6.60 eV per atom
# calculated volume: 76.2 Å³/cell
# E_form: -1.79 eV per formula unit
data_LaInRh2
_chemical_formula_sum 'La1 In1 Rh2'
_space_group_name_H-M_alt 'P 4/m m m'
_space_group_IT_number 123
_space_group_name_Hall '-P 4 2'
_cell_length_a 3.414
_cell_length_b 3.414
_cell_length_c 6.536
_cell_angle_alpha 90.00
_cell_angle_beta 90.00
_cell_angle_gamma 90.00
loop_
_atom_site_label
_atom_site_fract_x
_atom_site_fract_y
_atom_site_fract_z
La1 0.000 0.000 0.000
In1 0.000 0.000 0.500
Rh1 0.500 0.500 0.279


(4)
# BaSeIN2 PBEsol relaxed
# E: -3.54 eV per atom
# calculated volume: 164.9 Å³/cell
# relative energy among the computed polymorphs: 71.36 kJ/mol of atoms
data_BaSeIN2
_chemical_formula_sum 'Ba1 Se1 I1 N2'
_space_group_name_H-M_alt 'P 4/m m m'
_space_group_IT_number 123
_space_group_name_Hall '-P 4 2'
_cell_length_a 5.025
_cell_length_b 5.025
_cell_length_c 6.529
_cell_angle_alpha 90.00
_cell_angle_beta 90.00
_cell_angle_gamma 90.00
loop_
_atom_site_label
_atom_site_fract_x
_atom_site_fract_y
_atom_site_fract_z
Ba1 0.000 0.000 0.000
Se1 0.000 0.000 0.500
I1 0.500 0.500 0.500
N1 0.000 0.500 0.000


(5)
# RuPt2Rh PBEsol relaxed
# E: -8.03 eV per atom
# calculated volume: 113.1 Å³/cell
# relative energy among the computed polymorphs: 6.85 kJ/mol of atoms
# E_form: 0.13 eV per formula unit
data_RuPt2Rh
_chemical_formula_sum 'Ru2 Pt4 Rh2'
_space_group_name_H-M_alt 'C m m m'
_space_group_IT_number 65
_space_group_name_Hall '-C 2 2'
_cell_length_a 5.426
_cell_length_b 7.702
_cell_length_c 2.706
_cell_angle_alpha 90.00
_cell_angle_beta 90.00
_cell_angle_gamma 90.00
loop_
_atom_site_label
_atom_site_fract_x
_atom_site_fract_y
_atom_site_fract_z
Ru1 0.000 0.000 0.000
Pt1 0.250 0.250 0.500
Rh1 0.000 0.500 0.000


(6)
# Sc3BeO PBEsol relaxed
# E: -7.08 eV per atom
# calculated volume: 78.1 Å³/cell
data_Sc3BeO
-- stop --
Back to the article.
I'll be browsing and open a new tab in the background, and Chrome will just die for 20-30 seconds while it's loading that tab.
This is on a Core i5 Surface Pro 3, not a sluggish device. What the heck is going on? IE and Firefox don't have problems anything like this.
It gets even worse with a page with gifs on it, but even without it it's terrible.
So Chrome has had abysmal performance for me for a while, but now it seems even worse on Windows 10. Is anyone else seeing this?
I'll be browsing and open a new tab in the background, and Chrome will just die for 20-30 seconds while it's loading that tab.
This is on a Core i5 Surface Pro 3, not a sluggish device. What the heck is going on? IE and Firefox don't have problems anything like this.
It gets even worse with a page with gifs on it, but even without it it's terrible.
So Chrome has had abysmal performance for me for a while, but now it seems even worse on Windows 10. Is anyone else seeing this?
I'll be browsing and open a new tab in the background, and Chrome will just die for 20-30 seconds while it's loading that tab.
Is anyone can test the beta version of Windows 10 ? i really want to give it a shot ...
The current preview build just on its own with anything running makes my sp3 very hot, which I believe turns the throttling every time and makes the overall experience very poor.So Chrome has had abysmal performance for me for a while, but now it seems even worse on Windows 10. Is anyone else seeing this?
I'll be browsing and open a new tab in the background, and Chrome will just die for 20-30 seconds while it's loading that tab.
This is on a Core i5 Surface Pro 3, not a sluggish device. What the heck is going on? IE and Firefox don't have problems anything like this.
It gets even worse with a page with gifs on it, but even without it it's terrible.
I had that problem a few months ago but it hasn't re-occurred since I disabled hardware acceleration. Whether that's relevant to a SP3, I'm not sure.
The current preview build just on its own with anything running makes my sp3 very hot, which I believe turns the throttling every time and makes the overall experience very poor.
Yesterday I was editing a excel worksheet, and performance was pretty terrible, like locking for seconds when scroll the sheet, sometimes even blacking out the screen for a while. Granted it was full of formulas but an i5 shouldn't have that much issue with that.
On chrome I can't even watch a video without some heavy stuttering, where before I could have some simultaneous streams that wouldn't stutter like that.